Input
+++
4
Lattice="-6.915 2.368 3.364 -7.022 -0.501 3.895 -5.544 1.263 5.693" Properties=species:S:1:pos:R:3 comment="GGA+U GaFeF2, relaxed" relative_energy_kcal_per_mol_atoms=5.07 spacegroup="R-3m, No. 166" rho_g_cm3=4.7 pbc="T T T"
Ga -9.741 1.565 6.476
F -1.524 0.245 1.013
F -17.957 2.885 11.938
Fe 0.000 0.000 0.000

=====

RbCdIn4 | GGA-PBE | optimized geometry

Computed properties:
total magnetization = 0.0 Bohr magnetons per cell
energy above the most stable polymorph in this dataset = 0.0000 eV per atom
formation enthalpy at 0 K = -0.063 eV per atom
symmetry = C2/m (12)

Lattice parameters (Å, degrees): 6.9769 6.9769 8.9287 106.82 106.82 67.23
Closest atoms and distances in Å follow each position.
Fractional coordinates of all 12 atoms:
Rb  0.1847  0.1847  0.2841  1 Cd 3.61, 10 In 3.72-4.04
Rb  0.8153  0.8153  0.7159  1 Cd 3.61, 10 In 3.72-4.04
Cd  0.4100  0.4100  0.6821  5 In 2.92-3.02
Cd  0.5900  0.5900  0.3179  5 In 2.92-3.02
In  0.1857  0.1857  0.7598  1 Cd 2.92, 4 In 3.09-3.15
In  0.1917  0.5978  0.0658  1 Cd 3.02, 5 In 3.06-3.35
In  0.2382  0.7618  0.5000  2 Cd 3.00, 2 In 3.15
In  0.4022  0.8083  0.9342  1 Cd 3.02, 5 In 3.06-3.35
In  0.5978  0.1917  0.0658  1 Cd 3.02, 5 In 3.06-3.35
In  0.7618  0.2382  0.5000  2 Cd 3.00, 2 In 3.15
In  0.8083  0.4022  0.9342  1 Cd 3.02, 5 In 3.06-3.35
In  0.8143  0.8143  0.2402  1 Cd 2.92, 4 In 3.09-3.15

Dy2PtBr2 | GGA-PBE | optimized geometry

Computed properties:
ΔE_f (raw) = -1.513 eV/atom
total magnetization = 0.0 Bohr magnetons per cell
symmetry = R-3m (166)

Lattice parameters (Å, degrees): 11.2590 11.2590 11.2590 20.44 20.44 20.44
Closest atoms and distances in Å follow each position.
Fractional coordinates of all 5 atoms:
Dy  0.1170  0.1170  0.1170  3 Pt 2.83, 3 Br 3.00
Dy  0.8830  0.8830  0.8830  3 Pt 2.83, 3 Br 3.00
Pt  0.5000  0.5000  0.5000  6 Dy 2.83
Br  0.2742  0.2742  0.2742  3 Dy 3.00
Br  0.7258  0.7258  0.7258  3 Dy 3.00

Nd3PuAu4 | GGA-PBE | optimized geometry

Computed properties:
total magnetization = 5.7 Bohr magnetons per cell
formation enthalpy at 0 K = -0.671 eV per atom
symmetry = P4/mmm (123)

Lattice parameters (Å, degrees): 3.6953 3.6953 14.8043 90.00 90.00 90.00
Closest atoms and distances in Å follow each position.
Fractional coordinates of all 8 atoms:
Nd  0.0000  0.0000  0.0000  8 Au 3.21
Nd  0.0000  0.0000  0.2532  8 Au 3.18-3.22
Nd  0.0000  0.0000  0.7468  8 Au 3.18-3.22
Pu  0.0000  0.0000  0.5000  8 Au 3.20
Au  0.5000  0.5000  0.1255  8 Nd 3.21-3.22
Au  0.5000  0.5000  0.3753  4 Nd 3.18, 4 Pu 3.20
Au  0.5000  0.5000  0.6247  4 Nd 3.18, 4 Pu 3.20
Au  0.5000  0.5000  0.8745  8 Nd 3.21-3.22
+++

To do
It remains to retype the lines further up from the first line to the one with "5.7 Bohr" word for word.

Result
4
Lattice="-6.915 2.368 3.364 -7.022 -0.501 3.895 -5.544 1.263 5.693" Properties=species:S:1:pos:R:3 comment="GGA+U GaFeF2, relaxed" relative_energy_kcal_per_mol_atoms=5.07 spacegroup="R-3m, No. 166" rho_g_cm3=4.7 pbc="T T T"
Ga -9.741 1.565 6.476
F -1.524 0.245 1.013
F -17.957 2.885 11.938
Fe 0.000 0.000 0.000

=====

RbCdIn4 | GGA-PBE | optimized geometry

Computed properties:
total magnetization = 0.0 Bohr magnetons per cell
energy above the most stable polymorph in this dataset = 0.0000 eV per atom
formation enthalpy at 0 K = -0.063 eV per atom
symmetry = C2/m (12)

Lattice parameters (Å, degrees): 6.9769 6.9769 8.9287 106.82 106.82 67.23
Closest atoms and distances in Å follow each position.
Fractional coordinates of all 12 atoms:
Rb  0.1847  0.1847  0.2841  1 Cd 3.61, 10 In 3.72-4.04
Rb  0.8153  0.8153  0.7159  1 Cd 3.61, 10 In 3.72-4.04
Cd  0.4100  0.4100  0.6821  5 In 2.92-3.02
Cd  0.5900  0.5900  0.3179  5 In 2.92-3.02
In  0.1857  0.1857  0.7598  1 Cd 2.92, 4 In 3.09-3.15
In  0.1917  0.5978  0.0658  1 Cd 3.02, 5 In 3.06-3.35
In  0.2382  0.7618  0.5000  2 Cd 3.00, 2 In 3.15
In  0.4022  0.8083  0.9342  1 Cd 3.02, 5 In 3.06-3.35
In  0.5978  0.1917  0.0658  1 Cd 3.02, 5 In 3.06-3.35
In  0.7618  0.2382  0.5000  2 Cd 3.00, 2 In 3.15
In  0.8083  0.4022  0.9342  1 Cd 3.02, 5 In 3.06-3.35
In  0.8143  0.8143  0.2402  1 Cd 2.92, 4 In 3.09-3.15

Dy2PtBr2 | GGA-PBE | optimized geometry

Computed properties:
ΔE_f (raw) = -1.513 eV/atom
total magnetization = 0.0 Bohr magnetons per cell
symmetry = R-3m (166)

Lattice parameters (Å, degrees): 11.2590 11.2590 11.2590 20.44 20.44 20.44
Closest atoms and distances in Å follow each position.
Fractional coordinates of all 5 atoms:
Dy  0.1170  0.1170  0.1170  3 Pt 2.83, 3 Br 3.00
Dy  0.8830  0.8830  0.8830  3 Pt 2.83, 3 Br 3.00
Pt  0.5000  0.5000  0.5000  6 Dy 2.83
Br  0.2742  0.2742  0.2742  3 Dy 3.00
Br  0.7258  0.7258  0.7258  3 Dy 3.00

Nd3PuAu4 | GGA-PBE | optimized geometry

Computed properties:
total magnetization = 5.7 Bohr magnetons per cell